Are Bonds a Good Fundraising Tool?
Between two parts of the article: records of molecules:
- - -
Record 1
Below is an isolated molecule of C4H4O in a non-equilibrium geometry, with properties calculated with ωB97M-V/def2-TZVPD.

```
! RIJCOSX wB97M-V def2-TZVPD def2/J DEFGRID3
* xyz 0 1
C -0.3188 -0.6167 -0.7339
C 0.7252 -0.7306 0.2301
C 0.8436 0.4994 0.8079
O -0.1123 1.3250 0.3204
C -0.8518 0.6067 -0.5706
H -0.5955 -1.4399 -1.3764
H 0.5565 -1.6682 0.7172
H 1.5212 0.9684 1.5120
H -1.7683 1.0559 -0.9067
*
```

The value obtained for the HOMO-LUMO gap is 9.96 eV. The value obtained for the HOMO energy is -8.832 eV. The SMILES is c1ccoc1. Its calculated total energy is -229.98873 hartree. The value obtained for the relative energy (zero: lowest compared OMol25 entry of this formula, charge and spin) is 103.0 kJ/mol.

=====

Record 2
Below is an isolated molecule of C4H4O in a non-equilibrium geometry, with properties calculated with ωB97M-V/def2-TZVPD.

```
! RIJCOSX wB97M-V def2-TZVPD def2/J DEFGRID3
* xyz 0 1
C -1.8468 0.0373 0.0358
C 0.2760 0.0246 0.5392
C -0.7409 1.0113 0.0070
C -0.7586 -1.0460 -0.0069
O -3.0509 0.0050 0.0712
H 1.2062 -0.0772 0.1463
H 0.2839 -0.1297 1.5348
H -0.6567 1.6665 -0.8471
H -0.3797 -1.6635 -0.8046
*
```

The value obtained for the HOMO-LUMO gap is 8.26 eV. The value obtained for the HOMO energy is -9.068 eV. Its calculated total energy is -229.90312 hartree. The value obtained for the relative energy (zero: lowest compared OMol25 entry of this formula, charge and spin) is 327.7 kJ/mol.

=====

Record 3
Below is an isolated molecule of C4H4O, with properties calculated with ωB97M-V/def2-TZVPD.

```
! RIJCOSX wB97M-V def2-TZVPD def2/J DEFGRID3
* xyz 0 1
C -1.4617 0.5728 1.4590
C -0.5516 0.5624 0.5212
C 0.2268 0.2438 -0.4573
C 1.0041 -0.7230 -1.1729
O 0.8257 0.6615 -1.6061
H -2.4582 0.2097 1.2185
H -1.2755 0.8954 2.4795
H 2.0023 -0.9840 -0.8327
H 0.4793 -1.4576 -1.7809
*
```

The value obtained for the HOMO-LUMO gap is 10.16 eV. The value obtained for the HOMO energy is -9.139 eV. The SMILES is C=C=C1CO1. Its calculated total energy is -229.92262 hartree. The value obtained for the relative energy (zero: lowest compared OMol25 entry of this formula, charge and spin) is 276.5 kJ/mol.

=====

Record 4
Below is a cluster of 2 separate species, C4H4O in total in a non-equilibrium geometry, with properties calculated with ωB97M-V/def2-TZVPD.

```
! RIJCOSX wB97M-V def2-TZVPD def2/J DEFGRID3
* xyz 0 1
C -1.1421 -0.6226 0.1568
C 0.8215 0.1660 -0.7502
C 0.2707 -0.6966 0.3904
C -0.4099 0.5470 -0.0854
O -2.2020 -1.0867 0.4331
H 1.6747 0.8187 -0.5507
H 0.7762 -0.3550 -1.7930
H 0.7645 -0.9390 1.3407
H -0.5535 2.1682 0.8584
*
```

The value obtained for the HOMO-LUMO gap is 8.93 eV. The value obtained for the HOMO energy is -9.604 eV. Its calculated total energy is -229.83131 hartree. The value obtained for the relative energy (zero: lowest compared OMol25 entry of this formula, charge and spin) is 516.3 kJ/mol.

=====

Record 5
- - -
End of the records of molecules:

This year I have experienced a rash of calls regarding church bonds. It has been surprising because I have not had calls about selling bonds as a means of building in many years. For whatever reason, it has popped its head back up and pastors are wanting information. My organization, Horizons Stewardship, does not sell bonds and we do not have a relationship with anyone who does. In general we do not feel that bonds are an effective or an appropriate method for churches to use for funds. In fact, we experience a lot of churches who are stuck with bonds and now wish they could rescind that decision.
# Attached: calculated molecules
# 1
Molecular formula: C3H5NO2
Method: DFT, wB97M-V/def2-TZVPD

Geometry as XYZ:
```
11
Properties=species:S:1:pos:R:3:mulliken_charge:R:1
O 0.898 0.084 -0.118 -0.274
O 2.508 0.439 1.451 -0.472
N -1.326 0.504 0.322 -0.416
C -0.121 0.702 0.603 0.116
C -1.665 -0.418 -0.751 -0.686
C 2.131 -0.035 0.417 0.177
H -0.802 -0.828 -1.286 0.274
H 0.205 1.358 1.406 0.389
H 2.725 -0.662 -0.263 0.354
H -2.314 0.102 -1.461 0.264
H -2.240 -1.245 -0.321 0.273
```

Output
SMILES = C/N=C\OC=O
frontier orbital gap = 11.21 eV
molecular weight = 87.1 g/mol
DFT total energy = -322.5264 Eh
relative energy (zero: lowest compared OMol25 entry of this formula, charge and spin) = 1.306 eV



# 2
Molecular formula: C9H20N2O
Method: DFT, wB97M-V/def2-TZVPD

Geometry as XYZ:
```
32
Properties=species:S:1:pos:R:3:mulliken_charge:R:1
O -3.144 -1.606 -0.864 -0.615
N 2.207 0.960 0.086 -0.343
N 0.913 1.408 -0.141 -0.043
C -0.975 -1.009 -0.024 -1.420
C -3.009 -0.122 1.238 -1.209
C -2.779 1.332 0.794 -0.457
C 2.381 -0.469 0.269 0.725
C 3.708 -0.758 0.972 -1.527
C 0.786 2.495 -0.793 -0.481
C 2.342 -1.288 -1.017 -1.306
C -2.434 -0.623 -0.108 1.436
C -2.710 0.805 -0.656 -0.896
H 2.327 -2.350 -0.786 0.327
H 2.881 1.419 -0.535 0.310
H 1.655 3.053 -1.165 0.213
H 3.218 -1.084 -1.642 0.385
H -3.718 0.769 -1.092 0.355
H 3.814 -1.828 1.199 0.375
H -1.802 1.724 1.106 0.177
H -2.007 1.279 -1.363 0.233
H -0.202 2.938 -0.984 0.250
H -2.511 -0.461 2.142 0.293
H -0.839 -2.045 0.275 0.514
H 1.449 -1.030 -1.614 0.328
H 3.800 -0.204 1.908 0.398
H -4.076 -0.364 1.280 0.365
H 4.558 -0.505 0.348 0.355
H 1.568 -0.786 0.953 0.098
H -3.572 2.047 1.041 0.382
H -0.481 -0.383 0.705 0.201
H -2.846 -2.466 -0.542 0.362
H -0.499 -0.848 -0.991 0.211
```

Output
SMILES = CC1(O)CCC1.C=NNC(C)C
frontier orbital gap = 9.71 eV
molecular weight = 172.3 g/mol
DFT total energy = -539.5910 Eh
relative energy (zero: lowest compared OMol25 entry of this formula, charge and spin) = 2.038 eV
For simplicity's sake you need to understand that bonds are just another way to borrow money. Instead of getting a loan at a bank, the church makes a promissory note (bond) with all the persons who purchase the bonds. The promise to pay is still there. The church has just exchanged one lender for potentially hundreds. The selling of bonds is governed by individual states and sold through registered agents. This almost always means that a church will have to employ a commercial bonding company for a fee.
Bonds are either directed, sold to the members of the church generally by members of the church, or they are brokered and sold on the open market. Most church bonds are directed using the local church members as the purchasers (lenders).
The problems are numerous. First, church members can easily be lulled into believing they are practicing generosity, where in actuality they are not at all being generous. They are just moving investments to a guaranteed interest rate promised to them by their church. This rate is often higher than what persons can get on bonds in the marketplace, thus encouraging them to be bought. The selling of bonds can discourage members from giving and move them to lending. It changes the whole relationship of the church with its members.
Secondly, bonds can make it very difficult to adjust payment schedules. Many churches have had to work with their bank to make adjustments from time to time. Others have had windfalls where they could pay off a loan early. When you sell bonds you have a contract with often hundreds of lenders and not one. It makes adjustments very difficult. One church I know of has about 40 members who are holding bonds that are paying 8% interest. The other members want to hold a campaign and pay these off, but the forty are standing firmly against it because they want a guaranteed return of 8% on their money. The conflict is tearing the church apart.
Another church we are working with wants to borrow some more money, but they cannot because the bond holders are the primary mortgage holders. The banks will not lend their funds because they would be subordinate to the bondholders.
One church said the only way they could get money was to use a bonding company to sell bonds. The question must be answered then as to why a bank, which exists to loan money, finds you to be an unattractive option? Is it possible that you have no business borrowing that amount of money from anyone?
Unrelated to this article: data records:
-- begin --
No. 1
{
  "formula": "C19H15Cl3FGeN4ReS",
  "method": "the ωB97M-V functional and the def2-TZVPD basis",
  "gap_ev": [6.098, 6.088],
  "e_lumo_ev": [-8.62, -8.64],
  "spin_multiplicity": 1,
  "charge": 2,
  "elements": ["Re", "S", "C", "C", "C", "C", "C", "C", "C", "C", "C", "N", "H", "H", "H", "H", "H", "H", "N", "C", "C", "C", "C", "C", "N", "C", "C", "C", "C", "C", "N", "H", "H", "H", "H", "H", "H", "H", "H", "H", "F", "Cl", "Ge", "Cl", "Cl"],
  "positions_angstrom": [[0.8111, 0.2816, 0.9928], [2.2941, -3.7517, 1.5842], [3.6888, -2.8044, 1.2000], [3.3809, -1.5338, 0.8408], [1.9611, -1.2912, 0.9019], [1.2678, -2.4756, 1.2228], [-0.1919, -2.4863, 1.2290], [-0.9939, -3.5913, 1.4356], [-2.3726, -3.4213, 1.4287], [-2.9058, -2.1578, 1.2217], [-2.0484, -1.0935, 1.0225], [-0.7183, -1.2461, 1.0263], [4.6648, -3.2533, 1.3053], [4.1264, -0.7926, 0.5931], [-0.5572, -4.5668, 1.5990], [-3.0224, -4.2715, 1.5865], [-3.9734, -1.9934, 1.2164], [-2.4130, -0.0875, 0.8673], [-1.2064, 1.6537, -1.5587], [-1.3897, 2.2590, -0.3430], [-2.2894, 3.3385, -0.2962], [-2.5109, 3.9761, 0.8877], [-1.8414, 3.5224, 2.0310], [-0.9908, 2.4647, 1.9158], [-0.7437, 1.8073, 0.7248], [-0.3506, 0.6722, -2.0007], [-0.4504, 0.4240, -3.3822], [0.3119, -0.5409, -3.9736], [1.1953, -1.2542, -3.1643], [1.2657, -0.9478, -1.8413], [0.5006, 0.0029, -1.1934], [-1.7402, 2.0676, -2.3042], [-2.7791, 3.6578, -1.2063], [-3.1871, 4.8187, 0.9373], [-1.9789, 3.9914, 2.9939], [-0.4659, 2.1046, 2.7812], [-1.1452, 1.0144, -3.9634], [0.2380, -0.7281, -5.0361], [1.8488, -2.0178, -3.5591], [1.9878, -1.4585, -1.2327], [1.1421, 0.7632, 2.6878], [3.6371, 1.0667, -1.7011], [2.5049, 1.8421, -0.0577], [3.9013, 2.4429, 1.4177], [1.5380, 3.5933, -0.8368]],
  "forces_ev_per_angstrom": [[-0.767, -0.169, 0.412], [-0.008, -0.060, -0.132], [0.075, 0.194, 0.042], [-0.053, -0.320, 0.066], [0.527, -0.345, -0.190], [-0.170, -0.111, 0.155], [0.212, 0.085, 0.082], [-0.105, 0.083, -0.022], [0.044, -0.011, -0.001], [-0.014, -0.005, 0.002], [0.049, 0.143, -0.007], [0.351, -0.154, -0.278], [0.012, 0.016, 0.015], [0.001, 0.019, -0.012], [0.034, 0.008, -0.005], [-0.015, 0.003, 0.003], [-0.001, 0.012, -0.006], [-0.044, -0.020, -0.010], [0.071, -0.165, 0.014], [0.002, 0.015, -0.020], [0.117, -0.174, -0.123], [-0.002, 0.081, 0.172], [-0.015, -0.006, -0.049], [-0.017, -0.106, -0.402], [-0.403, 0.740, 0.575], [-0.089, 0.176, -0.018], [0.058, -0.067, 0.099], [-0.012, 0.040, -0.004], [0.006, -0.010, 0.039], [-0.009, -0.015, 0.157], [-0.037, -0.170, -0.554], [-0.053, 0.066, -0.031], [0.002, -0.010, -0.011], [-0.005, -0.004, 0.016], [-0.001, -0.003, 0.004], [0.029, -0.016, 0.100], [-0.009, 0.007, -0.008], [-0.001, -0.018, 0.001], [-0.008, -0.006, -0.011], [-0.032, 0.002, -0.026], [0.072, 0.143, 0.312], [0.019, 0.013, 0.068], [0.198, 0.168, -0.592], [-0.035, -0.043, 0.162], [0.025, -0.005, 0.017]]
}

No. 2
{
  "formula": "C19H15Cl4N2O2Tc",
  "method": "the ωB97M-V functional and the def2-TZVPD basis",
  "s_squared": 0.907,
-- stop --
If you are thinking about bonds, think twice. It is an option, but generally, it is not a very good option.